### Data
~~~
Entry 1:
# LaTbPrAg

A geometry-optimized LaTbPrAg structure (PBE-GGA, Alexandria).

The space group is F-43m (No. 216) and the conventional cell measures 7.855, 7.855 and 7.855 Å, with angles of 90.00, 90.00 and 90.00 degrees. The inequivalent atoms are La at (0.000, 0.000, 0.000), Tb at (0.250, 0.250, 0.250), Pr at (0.000, 0.000, 0.500) and Ag at (0.250, 0.250, 0.750).

For the relative energy among the computed polymorphs, the calculation gives 179.9 meV per atom. The calculated volume comes out at 484.6 Å³/cell. For the formation energy, the calculation gives 58 meV per atom. The total energy comes out at -4.239 eV/atom. The mass density is 7.5 g cm⁻³.

---

Entry 2:
# MnFeCl2

A geometry-optimized MnFeCl2 structure (PBE-GGA, Alexandria).

The space group is Pm (No. 6) and the conventional cell measures 4.792, 3.155 and 6.332 Å, with angles of 90.00, 110.77 and 90.00 degrees. The inequivalent atoms are Mn at (0.000, 0.000, 0.000), Fe at (0.641, 0.500, 0.121), Cl at (0.193, 0.500, 0.789) and Cl at (0.487, 0.000, 0.338).

For the relative energy among the computed polymorphs, the calculation gives 211.5 meV per atom. The value obtained for the formation energy (no corrections) is -149 meV/atom. The calculated volume comes out at 89.5 Å³/cell. The total energy comes out at -5.480 eV/atom. The mass density is 3.4 g cm⁻³.

---

Entry 3:
# UNiSb2

A geometry-optimized UNiSb2 structure (PBE-GGA, Alexandria).

The space group is Amm2 (No. 38) and the conventional cell measures 3.177, 4.165 and 15.413 Å, with angles of 90.00, 90.00 and 90.00 degrees. The inequivalent atoms are U at (0.000, 0.000, 0.000), Ni at (0.500, 0.000, 0.568), Sb at (0.500, 0.000, 0.177) and Sb at (0.500, 0.000, 0.384).

The value obtained for the formation energy (no corrections) is -78 meV/atom. The calculated volume comes out at 203.9 Å³/cell. The total energy comes out at -6.407 eV/atom. The mass density is 8.8 g cm⁻³.

---

Entry 4:
# AgHg2Au6

A geometry-optimized AgHg2Au6 structure (PBE-GGA, Alexandria).

The space group is C2/m (No. 12) and the conventional cell measures 5.808, 14.306 and 4.607 Å, with angles of 90.00, 114.48 and 90.00 degrees. The inequivalent atoms are Ag at (0.000, 0.000, 0.000), Hg at (0.000, 0.160, 0.500), Au at (0.158, 0.500, 0.332) and Au at (0.163, 0.338, 0.835).

The calculated volume comes out at 348.4 Å³/cell. For the formation energy, the calculation gives 62 meV per atom. The total energy comes out at -2.507 eV/atom. The mass density is 16.1 g cm⁻³.

* * * * *

Record 1
Entry from the Alexandria database: a PBEsol-optimized structure of SbMoBr2 (SCAN).

Formation energy (no corrections): 0.32 eV/atom
Total energy: -219.57 eV for the cell shown

a b c (Å): 3.1041 5.8116 11.1251
angles (deg): 90.00 90.00 90.00
Space group Cmmm (No. 65)
Unique sites:
Sb (0.0000, 0.0000, 0.0000) (multiplicity 2)
Mo (0.0000, 0.0000, 0.5000) (multiplicity 2)
Br (0.0000, 0.5000, 0.3188) (multiplicity 4)

---

Record 2
Entry from the Alexandria database: a PBEsol-optimized structure of Li2V3O6 (SCAN).

Formation energy (no corrections): -2.54 eV/atom
Total energy: -245.24 eV for the cell shown

a b c (Å): 4.7737 8.3836 5.1584
angles (deg): 90.00 106.09 90.00
Space group C2/m (No. 12)
Unique sites:
Li (0.0000, 0.1690, 0.0000) (multiplicity 4)
V (0.0000, 0.0000, 0.5000) (multiplicity 2)
V (0.0000, 0.3587, 0.5000) (multiplicity 4)
O (0.2319, 0.1718, 0.7143) (multiplicity 8)
O (0.2464, 0.0000, 0.2456) (multiplicity 4)

---

Record 3
Entry from the Alexandria database: a PBEsol-optimized structure of Cd2PbBr (SCAN).

Formation energy (no corrections): -0.14 eV/atom
Total energy: -313.22 eV for the cell shown

a b c (Å): 4.5103 5.2896 8.4265
angles (deg): 90.00 90.00 90.00
Space group Cmm2 (No. 35)
Unique sites:
Cd (0.0000, 0.0000, 0.0000) (multiplicity 2)
Cd (0.0000, 0.5000, 0.2191) (multiplicity 2)
Pb (0.0000, 0.0000, 0.4781) (multiplicity 2)
Br (0.0000, 0.5000, 0.7641) (multiplicity 2)

---

Record 4
~~~

### Assignment
What is needed: transcribe only the lines further above with the word "calculated" in them.

### Outcome
For the relative energy among the computed polymorphs, the calculation gives 179.9 meV per atom. The calculated volume comes out at 484.6 Å³/cell. For the formation energy, the calculation gives 58 meV per atom. The total energy comes out at -4.239 eV/atom. The mass density is 7.5 g cm⁻³.
For the relative energy among the computed polymorphs, the calculation gives 211.5 meV per atom. The value obtained for the formation energy (no corrections) is -149 meV/atom. The calculated volume comes out at 89.5 Å³/cell. The total energy comes out at -5.480 eV/atom. The mass density is 3.4 g cm⁻³.
The value obtained for the formation energy (no corrections) is -78 meV/atom. The calculated volume comes out at 203.9 Å³/cell. The total energy comes out at -6.407 eV/atom. The mass density is 8.8 g cm⁻³.
The calculated volume comes out at 348.4 Å³/cell. For the formation energy, the calculation gives 62 meV per atom. The total energy comes out at -2.507 eV/atom. The mass density is 16.1 g cm⁻³.